Why we can’t see the wood for the trees in the North!

For as long as I can remember we (agencies, interims and businesses) have been talking about the North of England interim and project market being completely flat! There simply aren’t any day rates needs and businesses are only interested in hiring people on a fixed-term contract or permanent basis.  Businesses want to grow stable teams, invest into the long term and, let’s face it, day rate interims are way too expensive! Right?


There’s so much expansion, movement and change in the North that for most businesses, investment into the right talent (and that means the right interims) is crucial to achieving their business goals. You simply do not need to hire a permanent candidate to deliver a change programme – you need qualified, assessed, expert project professionals: “INTERIMS”.

And that’s what’s happening. Interims ARE being utilised – but just not in the guise that we might think. Many businesses rely on the big 4 consultancies to deliver their key programmes and projects, or they source in London-based interims or contractors because of the perceived lack of good interim talent up here.

Unrelated to this text: crystal structures:
- - -
Entry 1:
Tm3TlAu2: calculated powder diffraction line list (Cu Kα (λ = 1.5418 Å)), based on DFT lattice parameters and positions (PBE).
Kinematic intensities with the Lorentz-polarization factor, no thermal factor.

Crystal structure
a = 3.565 Å, b = 3.565 Å, c = 11.237 Å
α = 90.00°, β = 90.00°, γ = 90.00°
Space group P4/mmm (No. 123)
One atom of each set of equivalent atoms:
Tm 0.000 0.000 0.000 (multiplicity 1)
Tm 0.000 0.000 0.313 (multiplicity 2)
Tl 0.500 0.500 0.500 (multiplicity 1)
Au 0.500 0.500 0.162 (multiplicity 2)

Largest 12 diffraction maxima, sorted by position, 5° ≤ 2θ ≤ 70°:
7.87 deg, rel. 1
29.68 deg, rel. 1
34.74 deg, rel. 100
35.61 deg, rel. 49
40.90 deg, rel. 2
48.61 deg, rel. 9
51.24 deg, rel. 18
54.71 deg, rel. 1
61.70 deg, rel. 17
63.40 deg, rel. 36
67.55 deg, rel. 1
69.41 deg, rel. 1

=====

Entry 2:
Tl2Zn12Au7: calculated powder diffraction line list (Cu Kα (λ = 1.5418 Å)), based on DFT lattice parameters and positions (PBE).
Kinematic intensities with the Lorentz-polarization factor, no thermal factor.

Crystal structure
a = 11.2127 Å, b = 11.2127 Å, c = 3.5221 Å
α = 90.00°, β = 90.00°, γ = 120.00°
Space group P-6 (No. 174)
One atom of each set of equivalent atoms:
Tl 0.0000 0.0000 0.0000 (multiplicity 1)
Tl 0.3333 0.6667 0.5000 (multiplicity 1)
Zn 0.0440 0.2795 0.5000 (multiplicity 3)
Zn 0.1328 0.7369 0.0000 (multiplicity 3)
Zn 0.3972 0.1654 0.0000 (multiplicity 3)
Zn 0.5181 0.3997 0.5000 (multiplicity 3)
Au 0.0644 0.4756 0.0000 (multiplicity 3)
Au 0.2428 0.2062 0.5000 (multiplicity 3)
Au 0.6667 0.3333 0.0000 (multiplicity 1)

Largest 12 diffraction maxima, sorted by position, 5° ≤ 2θ ≤ 70°:
24.25 deg, rel. 49
31.38 deg, rel. 50
31.93 deg, rel. 20
35.32 deg, rel. 100
37.75 deg, rel. 21
41.16 deg, rel. 26
42.24 deg, rel. 42
42.67 deg, rel. 86
48.34 deg, rel. 25
51.92 deg, rel. 24
64.04 deg, rel. 19
69.39 deg, rel. 40

=====

Entry 3:
Tl2ZnAu: calculated powder diffraction line list (Cu Kα (λ = 1.5418 Å)), based on DFT lattice parameters and positions (PBE).
Kinematic intensities with the Lorentz-polarization factor, no thermal factor.

Crystal structure
a = 3.338 Å, b = 5.424 Å, c = 10.704 Å
α = 90.00°, β = 90.00°, γ = 90.00°
Space group Imm2 (No. 44)
One atom of each set of equivalent atoms:
Tl 0.000 0.000 0.000 (multiplicity 2)
Tl 0.000 0.500 0.205 (multiplicity 2)
Zn 0.000 0.500 0.761 (multiplicity 2)
Au 0.000 0.000 0.451 (multiplicity 2)

Largest 12 diffraction maxima, sorted by position, 5° ≤ 2θ ≤ 70°:
28.00 deg, rel. 9
29.98 deg, rel. 21
33.03 deg, rel. 34
33.49 deg, rel. 22
35.76 deg, rel. 100
47.75 deg, rel. 16
50.66 deg, rel. 9
55.01 deg, rel. 8
60.78 deg, rel. 22
61.35 deg, rel. 9
61.81 deg, rel. 10
65.68 deg, rel. 10

=====

Entry 4:
Tl4ZnAu5: calculated powder diffraction line list (Cu Kα (λ = 1.5418 Å)), based on DFT lattice parameters and positions (PBE).
Kinematic intensities with the Lorentz-polarization factor, no thermal factor.

Crystal structure
a = 9.546 Å, b = 9.546 Å, c = 5.121 Å
- - -

The problem

So, what’s the problem?  This is 2018, the UK market is nationally and internationally accessible, and programmes are getting delivered, aren’t they?

The first problem is we are paying through the nose to use the comfort of the consultancies (and apparently mitigating risk) but are often left with a glossy recommendation but little tactical support to deliver this into the business. Put simply, businesses get an off-the-shelf package with no regard for any cultural/communication nuances that enable it to be embedded effectively.

Secondly, most of the North’s best interim talent is heading to London to seek better prospects there. That’s frustrating when we clearly have the needs and could be supporting them here.

So what’s been going on up here and why is the perception of the interim market up North so out of kilter with the rest of the UK? And why are we still looking to use less experienced consultants from the big 4 or London when we have some amazing talent right here on our doorstep?

Blurred perceptions

In my opinion, the North is still under developed in how we operate and support the interim market. Over the years what is ‘interim’ has become completely blurred – for a whole host of reasons:

  • Agencies have confused interim with temp and fixed-term contracts and have not been able to advise their clients of the true value of good interims.
  • The market has been flooded with ‘happen to be immediately available’ permanent candidates all looking to reinvent themselves as ‘professional interims’ but with little change and transformation ability.
  • Where there are scarce skill-sets, businesses have made desperate attempts to plug gaps resulting in hiring the wrong people and further enforcing the perception that generally the interim talent is expensive and ill qualified. Altogether driving up pay rates beyond their true value!

The solution

So what can we do about it? Good professional interims are expensive but when used in the right way, they deliver excellent value for money. Their expertise helps businesses deliver faster, more effectively and in the best position to grow and succeed with their permanent staff.

== Next to the page, the page also holds crystal structures ==
=====
1.
Starting from a structure optimized by DFT (GGA-PBE), the X-ray diffraction stick pattern of Mn2NbCo was simulated for CuKα.
Neutral-atom scattering factors, no anomalous dispersion.

abc: 6.1960 3.8000 8.7872
angles: 90.00 90.00 90.00
Atoms (fractional coordinates):
Mn (0.0535, 0.2500, 0.1202)
Mn (0.2191, 0.7500, 0.0367)
Mn (0.2809, 0.2500, 0.5367)
Mn (0.4465, 0.7500, 0.6202)
Mn (0.5535, 0.2500, 0.3798)
Mn (0.7191, 0.7500, 0.4633)
Mn (0.7809, 0.2500, 0.9633)
Mn (0.9465, 0.7500, 0.8798)
Nb (0.2434, 0.7500, 0.3215)
Nb (0.2566, 0.2500, 0.8215)
Nb (0.7434, 0.7500, 0.1785)
Nb (0.7566, 0.2500, 0.6785)
Co (0.0405, 0.7500, 0.6085)
Co (0.4595, 0.2500, 0.1085)
Co (0.5405, 0.7500, 0.8915)
Co (0.9595, 0.2500, 0.3915)

Peak list (8 most intense, 2θ = 10–90°, in order of rising 2θ)
two_theta, intensity
38.87, 100
41.57, 66
43.72, 25
47.88, 33
48.72, 17
49.06, 14
66.83, 14
80.59, 12


2.
Starting from a structure optimized by DFT (GGA-PBE), the X-ray diffraction stick pattern of MnNbCo10 was simulated for CuKα.
Neutral-atom scattering factors, no anomalous dispersion.

abc: 4.0079 4.6629 8.0275
angles: 90.00 90.00 90.00
Atoms (fractional coordinates):
Mn (0.0000, 0.0000, 0.0000)
Nb (0.0000, 0.5000, 0.5000)
Co (0.0000, 0.0000, 0.3283)
Co (0.0000, 0.0000, 0.6717)
Co (0.0000, 0.5000, 0.1630)
Co (0.0000, 0.5000, 0.8370)
Co (0.5000, 0.0000, 0.5000)
Co (0.5000, 0.2525, 0.2532)
Co (0.5000, 0.2525, 0.7468)
Co (0.5000, 0.5000, 0.0000)
Co (0.5000, 0.7475, 0.2532)
Co (0.5000, 0.7475, 0.7468)

Peak list (8 most intense, 2θ = 10–90°, in order of rising 2θ)
two_theta, intensity
31.50, 31
38.80, 19
44.98, 70
45.15, 100
45.25, 47
50.69, 26
65.69, 17
74.46, 17


3.
Starting from a structure optimized by DFT (GGA-PBE), the X-ray diffraction stick pattern of Mn3Nb2Co was simulated for CuKα.
Neutral-atom scattering factors, no anomalous dispersion.

abc: 4.8913 4.8913 4.8913
angles: 57.74 57.74 57.74
Atoms (fractional coordinates):
Mn (0.0000, 0.5000, 0.5000)
Mn (0.5000, 0.0000, 0.5000)
Mn (0.5000, 0.5000, 0.0000)
Nb (0.1222, 0.1222, 0.1222)
Nb (0.8778, 0.8778, 0.8778)
Co (0.5000, 0.5000, 0.5000)

Peak list (8 most intense, 2θ = 10–90°, in order of rising 2θ)
two_theta, intensity
36.79, 49
38.10, 51
43.22, 63
44.37, 100
44.94, 47
46.86, 39
72.39, 25
=====

Finding an interim isn’t as simple as browsing LinkedIn for a LEAN expert, a People Transformation Lead, a Project Manager, or a System Implementation Specialist… you need to partner with a recruitment business with a robust assessment process and that knows how to spot the chancers from the experts. It takes time (many years, in fact!), expertise and effort to meet all of the available interims, and speak to their references to understand what they delivered as opposed to those that were just on the ride.

The entry is interrupted by records of crystals:
/*
Starting from the GGA-PBE geometry in Alexandria, the PXRD pattern of ErPa2N3 was simulated for a wavelength of 1.5418 Å.

Structural model:
Unit cell a=6.0287 b=6.0287 c=6.0287 alpha=146.57 beta=131.90 gamma=59.85
Sites, in units of the cell vectors:
Er 0.0000 0.0000 0.0000
Pa 0.3338 0.3338 0.0000
Pa 0.6662 0.6662 0.0000
N 0.1671 0.6671 0.5000
N 0.5000 0.0000 0.5000
N 0.8329 0.3329 0.5000

Peak list (6 most intense, 2θ from 10° to 90°, in order of falling intensity)
31.53 deg, I = 100
36.57 deg, I = 66
52.68 deg, I = 31
62.63 deg, I = 23
62.76 deg, I = 23
89.09 deg, I = 15


(1)
For SiGeRh2, a crystal structure in Alexandria, relaxed with PBE gives the calculated powder X-ray diffraction pattern in this record (Cu Kα (λ = 1.5418 Å)).
Lines closer than 0.1° are merged.

Top 10 peaks for 2θ from 5° to 70°, sorted by position:
- 2θ = 28.17°, rel. 21.4, hkl 0 2 0
- 2θ = 30.27°, rel. 63.4, hkl 2 1 0
- 2θ = 31.95°, rel. 23.1, hkl 0 0 2
- 2θ = 34.33°, rel. 29.1, hkl 2 1 -1
- 2θ = 42.53°, rel. 47.5, hkl 2 2 1
- 2θ = 43.11°, rel. 57.8, hkl 0 2 2
- 2θ = 44.59°, rel. 100.0, hkl 2 1 -2
- 2θ = 45.92°, rel. 26.9, hkl 0 3 1
- 2θ = 51.18°, rel. 32.8, hkl 2 3 0
- 2θ = 55.04°, rel. 20.8, hkl 4 0 0

Cell: 6.6742 6.3366 5.6020 Å, 90.00 90.04 90.00°
Space group P2_1/c (No. 14)
Inequivalent atoms, fractional coordinates:
1 Si 0.1228 0.0563 0.1857
2 Ge 0.3760 0.5790 0.3104
3 Rh 0.1052 0.7041 0.0055
4 Rh 0.3514 0.2000 0.4945

---

(2)
For SiGe2Rh5, a crystal structure in Alexandria, relaxed with PBE gives the calculated powder X-ray diffraction pattern in this record (Cu Kα (λ = 1.5418 Å)).
Lines closer than 0.1° are merged.

Top 10 peaks for 2θ from 5° to 70°, sorted by position:
- 2θ = 32.74°, rel. 28.6, hkl 1 2 1
- 2θ = 38.19°, rel. 36.5, hkl 1 3 1
- 2θ = 38.37°, rel. 27.0, hkl 1 4 0
- 2θ = 40.88°, rel. 100.0, hkl 2 1 1
- 2θ = 41.57°, rel. 82.4, hkl 0 4 1
- 2θ = 42.01°, rel. 33.8, hkl 2 3 0
- 2θ = 43.70°, rel. 25.1, hkl 2 2 1
- 2θ = 45.67°, rel. 49.9, hkl 0 0 2
- 2θ = 61.13°, rel. 13.5, hkl 1 4 2
- 2θ = 63.78°, rel. 19.1, hkl 2 3 2

Cell: 5.4922 10.3791 3.9729 Å, 90.00 90.00 90.00°
Space group Pbam (No. 55)
Inequivalent atoms, fractional coordinates:
1 Si 0.0000 0.0000 0.0000
2 Ge 0.1008 0.3470 0.5000
3 Rh 0.0000 0.5000 0.0000
4 Rh 0.1499 0.7862 0.0000
5 Rh 0.1653 0.1036 0.5000

---

(3)
For Sm3Si2GeRh9, a crystal structure in Alexandria, relaxed with PBE gives the calculated powder X-ray diffraction pattern in this record (Cu Kα (λ = 1.5418 Å)).
Lines closer than 0.1° are merged.

Top 10 peaks for 2θ from 5° to 70°, sorted by position:
- 2θ = 27.86°, rel. 7.6, hkl 1 1 0
- 2θ = 27.97°, rel. 7.8, hkl 0 1 2
- 2θ = 34.32°, rel. 100.0, hkl 0 2 1
- 2θ = 34.51°, rel. 32.9, hkl 0 0 3
- 2θ = 39.89°, rel. 96.1, hkl 2 0 2
- 2θ = 57.56°, rel. 32.1, hkl 2 2 0
- 2θ = 57.81°, rel. 31.9, hkl 0 2 4
- 2θ = 68.75°, rel. 12.7, hkl 4 0 1
- 2θ = 68.87°, rel. 25.4, hkl 2 2 3
- 2θ = 69.10°, rel. 12.7, hkl 2 0 5

Cell: 6.4052 6.4052 7.7974 Å, 90.00 90.00 120.00°
*/

Understanding your needs/Supporting your business

We’re building a recruitment business called ‘The Project Bench’ dedicated to supporting the professional interim market. Every single person on the bench is fully assessed around their project strengths. We probe around the key deliverables and the ‘so what’s’ until we know their personal impact. Then we carry out in-depth references. The Project Bench is reserved for the impactful players who can make a difference to the interim market and start to set the record straight on what a professional interim can deliver.

For more information on how The Project Bench can support your business, contact info@theprojectbench.co.uk or call 07951 271 405 for a no obligation discussion.

Why we can’t see the wood for the trees in the North!